_Assignment_
Next, set down everything further down with every line break kept.

_Excerpt_
-- begin --
The following is a quantum chemistry calculation of a structure of composition C4H5CuO2 in a non-equilibrium geometry, from the OMol25 dataset.

```
12
Properties=species:S:1:pos:R:3:nbo_charge:R:1
C -1.546 -0.321 1.000 -0.084
C -0.462 0.667 0.648 -0.252
C 0.297 0.599 -0.402 0.185
C 1.214 0.419 -1.439 0.224
O 2.381 0.029 -1.235 -0.657
Cu 4.681 0.310 -1.977 0.973
H -2.329 -0.317 0.226 0.196
H -2.000 0.012 1.949 0.191
H -0.618 1.739 0.932 0.273
H 0.862 0.610 -2.467 0.172
O -0.947 -1.587 1.132 -0.708
H -1.533 -2.162 1.633 0.488
```

Computed properties:
multiplicity	2
energy above the lowest of the compared OMol25 structures with the same formula, charge and spin	0.0	kJ/mol
HOMO level (alpha / beta)	-0.4725 / -0.4961	Ha
orbital gap (alpha / beta)	6.66 / 7.27	eV
LUMO energy (alpha / beta)	-6.2 / -6.2	eV
M	148.63	Da
⟨S²⟩	0.764
total charge	+1
DFT total energy	-52951.9081	eV

* * * * *

[1]
Formula: C15H23NO3
Source: the OMol25 dataset
Level of theory: the ωB97M-V functional and the def2-TZVPD basis

Calculated values
Energy above the lowest of the compared OMol25 structures with the same formula, charge and spin (kcal per mole): 362.7
E (eV): -23547.18590
Kohn-Sham gap (eV): 8.79
SMILES string: CCC(C)(C)NC(=O)Cc1ccc(OC)c(OC)c1

Structure (ORCA input):
```
! RIJCOSX wB97M-V def2-TZVPD def2/J DEFGRID3
* xyz 0 1
C -4.4149 -0.9326 -0.2906
C -3.3474 -1.2743 0.6458
C -2.4908 -0.2246 1.0991
C -3.1276 1.0966 1.2109
C -1.5176 -0.4604 2.3911
N -1.5210 0.0631 -0.3337
C -1.6867 0.7992 -1.4278
O -2.5581 1.3964 -1.6491
C -0.4690 0.8602 -2.2394
C 0.7775 0.7294 -1.6016
C 1.4074 1.6065 -1.0430
C 2.5748 1.8480 -0.1456
C 3.2300 0.5579 -0.1164
O 4.3292 0.4865 0.8999
C 4.9574 1.7561 1.0595
C 2.6660 -0.6452 -0.4397
O 3.5750 -1.6298 -0.3934
C 3.0220 -2.8976 -0.7934
C 1.6038 -0.7289 -1.2526
H -3.8603 -0.5654 -1.2910
H -4.8656 -1.7451 -0.6389
H -5.3038 -0.1137 0.2293
H -2.8063 -2.2963 0.2023
H -3.9463 -1.5791 1.6680
H -3.8553 1.0190 2.0417
H -3.5766 1.7938 0.3884
H -2.3474 1.9766 1.3654
H -1.0698 -1.4082 1.9826
H -2.2256 -0.4015 3.1285
H -0.6517 0.1839 2.4255
H -0.6048 -0.4326 -0.1029
H -0.5211 -0.1379 -2.9011
H -0.4793 1.4893 -3.0623
H 0.8981 2.6844 -0.9961
H 2.8417 2.6431 0.3560
H 5.9484 1.2689 1.7925
H 4.3002 1.8577 2.0360
H 5.2612 2.4911 0.5104
H 2.9753 -2.8838 -2.0945
H 3.6754 -3.5897 -0.4606
H 2.0625 -3.1406 -0.4834
H 1.1414 -1.5203 -1.6760
*
```

[2]
Formula: C15H23O4RuS4Se
Source: the OMol25 dataset
Level of theory: the ωB97M-V functional and the def2-TZVPD basis

Calculated values
Energy above the lowest of the compared OMol25 structures with the same formula, charge and spin (kcal per mole): 92.0
E (eV): -135384.71743
Kohn-Sham gap (alpha / beta) (eV): 6.72 / 5.93

Structure (ORCA input):
```
! RIJCOSX wB97M-V def2-TZVPD def2/J DEFGRID3
* xyz 0 2
Ru 1.0545 -1.6886 0.2251
C 3.4532 -2.7087 2.3683
C 2.1578 -3.3917 2.7308
S 0.6809 -2.3747 2.6172
C 1.0807 -0.9456 3.6313
C 0.7111 0.3233 2.9001
S 1.4704 0.5085 1.2842
C 3.2262 0.4598 1.7171
C 3.9884 -0.4165 0.7701
S 3.4241 -2.1128 0.6546
H 4.2469 -3.4536 2.4361
H 3.7228 -1.8874 3.0295
H 2.2311 -3.8380 3.7246
H 1.9388 -4.1870 2.0163
H 2.1295 -0.9822 3.9172
H 0.4873 -1.0109 4.5436
H 0.9401 1.2034 3.5047
H -0.3567 0.3371 2.6747
H 3.3229 0.1536 2.7562
H 3.6142 1.4756 1.6367
H 5.0541 -0.3995 1.0095
H 3.8643 -0.0629 -0.2546
O -0.6781 -3.3955 0.2237
S -0.1635 -3.5270 -1.1953
O -0.7254 -4.6637 -1.8976
O 1.3518 -3.5294 -1.0349
O 0.8813 -0.5998 -1.6005
C -4.1769 4.2649 -2.7796
C -3.3218 3.0746 -2.4244
C -1.9699 3.2107 -2.1530
C -1.1531 2.1201 -1.8475
C 0.2979 2.3860 -1.5281
C -1.7272 0.8503 -1.8255
Se -0.8451 -0.8583 -1.4883
C -3.0964 0.6835 -2.0828
C -3.7643 -0.6745 -2.0559
C -3.8691 1.7994 -2.3732
H -3.6256 5.1970 -2.6590
H -5.0693 4.3104 -2.1530
H -4.5118 4.2055 -3.8173
H -1.5214 4.1993 -2.1820
H 0.5646 3.4048 -1.8138
H 0.9599 1.6814 -2.0285
H 0.4745 2.2806 -0.4580
H -3.5680 -1.2136 -1.1250
H -3.4129 -1.3094 -2.8722
H -4.8436 -0.5647 -2.1526
H -4.9293 1.6660 -2.5690
*
```
-- stop --

_Reply_
The following is a quantum chemistry calculation of a structure of composition C4H5CuO2 in a non-equilibrium geometry, from the OMol25 dataset.

```
12
Properties=species:S:1:pos:R:3:nbo_charge:R:1
C -1.546 -0.321 1.000 -0.084
C -0.462 0.667 0.648 -0.252
C 0.297 0.599 -0.402 0.185
C 1.214 0.419 -1.439 0.224
O 2.381 0.029 -1.235 -0.657
Cu 4.681 0.310 -1.977 0.973
H -2.329 -0.317 0.226 0.196
H -2.000 0.012 1.949 0.191
H -0.618 1.739 0.932 0.273
H 0.862 0.610 -2.467 0.172
O -0.947 -1.587 1.132 -0.708
H -1.533 -2.162 1.633 0.488
```

Computed properties:
multiplicity	2
energy above the lowest of the compared OMol25 structures with the same formula, charge and spin	0.0	kJ/mol
HOMO level (alpha / beta)	-0.4725 / -0.4961	Ha
orbital gap (alpha / beta)	6.66 / 7.27	eV
LUMO energy (alpha / beta)	-6.2 / -6.2	eV
M	148.63	Da
⟨S²⟩	0.764
total charge	+1
DFT total energy	-52951.9081	eV

* * * * *

[1]
Formula: C15H23NO3
Source: the OMol25 dataset
Level of theory: the ωB97M-V functional and the def2-TZVPD basis

Calculated values
Energy above the lowest of the compared OMol25 structures with the same formula, charge and spin (kcal per mole): 362.7
E (eV): -23547.18590
Kohn-Sham gap (eV): 8.79
SMILES string: CCC(C)(C)NC(=O)Cc1ccc(OC)c(OC)c1

Structure (ORCA input):
```
! RIJCOSX wB97M-V def2-TZVPD def2/J DEFGRID3
* xyz 0 1
C -4.4149 -0.9326 -0.2906
C -3.3474 -1.2743 0.6458
C -2.4908 -0.2246 1.0991
C -3.1276 1.0966 1.2109
C -1.5176 -0.4604 2.3911
N -1.5210 0.0631 -0.3337
C -1.6867 0.7992 -1.4278
O -2.5581 1.3964 -1.6491
C -0.4690 0.8602 -2.2394
C 0.7775 0.7294 -1.6016
C 1.4074 1.6065 -1.0430
C 2.5748 1.8480 -0.1456
C 3.2300 0.5579 -0.1164
O 4.3292 0.4865 0.8999
C 4.9574 1.7561 1.0595
C 2.6660 -0.6452 -0.4397
O 3.5750 -1.6298 -0.3934
C 3.0220 -2.8976 -0.7934
C 1.6038 -0.7289 -1.2526
H -3.8603 -0.5654 -1.2910
H -4.8656 -1.7451 -0.6389
H -5.3038 -0.1137 0.2293
H -2.8063 -2.2963 0.2023
H -3.9463 -1.5791 1.6680
H -3.8553 1.0190 2.0417
H -3.5766 1.7938 0.3884
H -2.3474 1.9766 1.3654
H -1.0698 -1.4082 1.9826
H -2.2256 -0.4015 3.1285
H -0.6517 0.1839 2.4255
H -0.6048 -0.4326 -0.1029
H -0.5211 -0.1379 -2.9011
H -0.4793 1.4893 -3.0623
H 0.8981 2.6844 -0.9961
H 2.8417 2.6431 0.3560
H 5.9484 1.2689 1.7925
H 4.3002 1.8577 2.0360
H 5.2612 2.4911 0.5104
H 2.9753 -2.8838 -2.0945
H 3.6754 -3.5897 -0.4606
H 2.0625 -3.1406 -0.4834
H 1.1414 -1.5203 -1.6760
*
```

[2]
Formula: C15H23O4RuS4Se
Source: the OMol25 dataset
Level of theory: the ωB97M-V functional and the def2-TZVPD basis

Calculated values
Energy above the lowest of the compared OMol25 structures with the same formula, charge and spin (kcal per mole): 92.0
E (eV): -135384.71743
Kohn-Sham gap (alpha / beta) (eV): 6.72 / 5.93

Structure (ORCA input):
```
! RIJCOSX wB97M-V def2-TZVPD def2/J DEFGRID3
* xyz 0 2
Ru 1.0545 -1.6886 0.2251
C 3.4532 -2.7087 2.3683
C 2.1578 -3.3917 2.7308
S 0.6809 -2.3747 2.6172
C 1.0807 -0.9456 3.6313
C 0.7111 0.3233 2.9001
S 1.4704 0.5085 1.2842
C 3.2262 0.4598 1.7171
C 3.9884 -0.4165 0.7701
S 3.4241 -2.1128 0.6546
H 4.2469 -3.4536 2.4361
H 3.7228 -1.8874 3.0295
H 2.2311 -3.8380 3.7246
H 1.9388 -4.1870 2.0163
H 2.1295 -0.9822 3.9172
H 0.4873 -1.0109 4.5436
H 0.9401 1.2034 3.5047
H -0.3567 0.3371 2.6747
H 3.3229 0.1536 2.7562
H 3.6142 1.4756 1.6367
H 5.0541 -0.3995 1.0095
H 3.8643 -0.0629 -0.2546
O -0.6781 -3.3955 0.2237
S -0.1635 -3.5270 -1.1953
O -0.7254 -4.6637 -1.8976
O 1.3518 -3.5294 -1.0349
O 0.8813 -0.5998 -1.6005
C -4.1769 4.2649 -2.7796
C -3.3218 3.0746 -2.4244
C -1.9699 3.2107 -2.1530
C -1.1531 2.1201 -1.8475
C 0.2979 2.3860 -1.5281
C -1.7272 0.8503 -1.8255
Se -0.8451 -0.8583 -1.4883
C -3.0964 0.6835 -2.0828
C -3.7643 -0.6745 -2.0559
C -3.8691 1.7994 -2.3732
H -3.6256 5.1970 -2.6590
H -5.0693 4.3104 -2.1530
H -4.5118 4.2055 -3.8173
H -1.5214 4.1993 -2.1820
H 0.5646 3.4048 -1.8138
H 0.9599 1.6814 -2.0285
H 0.4745 2.2806 -0.4580
H -3.5680 -1.2136 -1.1250
H -3.4129 -1.3094 -2.8722
H -4.8436 -0.5647 -2.1526
H -4.9293 1.6660 -2.5690
*
```